Count the lines further down that contain the word "in" and give the number alone.

~~~
(1)
Here is a relaxed Li8Cd3Ag3 crystal from Alexandria via LeMat-Bulk. Energies are from PBE-GGA.

a = 4.548 Å, b = 10.199 Å, c = 10.849 Å
α = 90.00°, β = 90.00°, γ = 90.00°
Space group Immm (No. 71)
Asymmetric unit:
Li (0.000, 0.136, 0.117) (multiplicity 8)
Li (0.000, 0.363, 0.238) (multiplicity 8)
Cd (0.000, 0.212, 0.500) (multiplicity 4)
Cd (0.000, 0.500, 0.500) (multiplicity 2)
Ag (0.000, 0.000, 0.328) (multiplicity 4)
Ag (0.000, 0.500, 0.000) (multiplicity 2)

Summary:
**Calculated formation energy**: -0.123 eV per atom
**Crystal system**: orthorhombic
**Magnetic moment**: 0.00 μB/f.u.
**E_tot**: -56.7 eV for the cell shown

***

(2)
Here is a relaxed SrLa2In2Ag2 crystal from Alexandria via LeMat-Bulk. Energies are from PBE-GGA.

a = 4.9700 Å, b = 4.9700 Å, c = 29.2036 Å
α = 90.00°, β = 90.00°, γ = 120.00°
Space group R-3m (No. 166, hexagonal axes)
Asymmetric unit:
Sr (0.0000, 0.0000, 0.0000) (multiplicity 3)
La (0.0000, 0.0000, 0.1299) (multiplicity 6)
In (0.0000, 0.0000, 0.2567) (multiplicity 6)
Ag (0.0000, 0.0000, 0.4073) (multiplicity 6)

Summary:
**Calculated formation energy**: -0.322 eV per atom
**Crystal system**: trigonal
**Magnetic moment**: 0.00 μB/f.u.
**E_tot**: -74.9 eV for the cell shown

***

(3)
Here is a relaxed Ti2InCo2 crystal from Alexandria via LeMat-Bulk. Energies are from PBE-GGA.

a = 4.065 Å, b = 4.065 Å, c = 9.638 Å
α = 90.00°, β = 90.00°, γ = 90.00°
Space group I4/mmm (No. 139)
Asymmetric unit:
Ti (0.000, 0.500, 0.250) (multiplicity 4)
In (0.000, 0.000, 0.000) (multiplicity 2)
Co (0.000, 0.000, 0.386) (multiplicity 4)

Summary:
**Calculated formation energy**: -0.175 eV per atom
**Crystal system**: tetragonal
**Magnetic moment**: 0.00 μB/f.u.
**E_tot**: -67.2 eV for the cell shown

***

- Which of these has the highest calculated formation energy?
  Li8Cd3Ag3

* * * * *

Version w
The following is a PBE-GGA calculation of a relaxed RbAl3B crystal, from Alexandria via LeMat-Bulk.

Cell: 6.0222 6.0222 6.0222 Å, 90.00 90.00 90.00°
Fractional coordinates of all 5 atoms:
1 Rb 0.0000 0.0000 0.0000
2 Al 0.0000 0.0000 0.5000
3 Al 0.0000 0.5000 0.0000
4 Al 0.5000 0.0000 0.0000
5 B 0.5000 0.5000 0.5000

***

Version x
The following is a PBE-GGA calculation of a relaxed RbAl3B crystal, from Alexandria via LeMat-Bulk.

Cell: 4.7416 4.7416 4.7416 Å, 90.00 90.00 90.00°
Fractional coordinates of all 5 atoms:
1 Rb 0.0000 0.0000 0.0000
2 Al 0.0000 0.5000 0.5000
3 Al 0.5000 0.0000 0.5000
4 Al 0.5000 0.5000 0.0000
5 B 0.5000 0.5000 0.5000

***

Energy above the most stable structure, in meV/atom: version w 1816; version x 0

***

Version w
The following is a PBE-GGA calculation of a relaxed AlRe2B crystal, from Alexandria via LeMat-Bulk.

Cell: 4.1364 4.1364 4.1364 Å, 60.00 60.00 60.00°
Fractional coordinates of all 4 atoms:
1 Al 0.0000 0.0000 0.0000
2 Re 0.2500 0.2500 0.2500
3 Re 0.7500 0.7500 0.7500
4 B 0.5000 0.5000 0.5000

***

Version x
The following is a PBE-GGA calculation of a relaxed AlRe2B crystal, from Alexandria via LeMat-Bulk.

Cell: 8.7475 8.7475 8.7475 Å, 154.88 154.88 35.82°
Fractional coordinates of all 8 atoms:
1 Al 0.0000 0.0000 0.0000
2 Al 0.7500 0.2500 0.5000
3 Re 0.1890 0.6250 0.0640
4 Re 0.3750 0.4390 0.5640
5 Re 0.5610 0.1250 0.9360
6 Re 0.8750 0.8110 0.4360
7 B 0.2500 0.7500 0.5000
8 B 0.5000 0.5000 0.0000

***

Energy above the most stable structure, in meV/atom: version w 0; version x 250

***

Version w
The following is a PBE-GGA calculation of a relaxed Al3ReB crystal, from Alexandria via LeMat-Bulk.

Cell: 4.1175 4.1175 4.1175 Å, 90.00 90.00 90.00°
Fractional coordinates of all 5 atoms:
1 Al 0.0000 0.0000 0.5000
2 Al 0.0000 0.5000 0.0000
3 Al 0.5000 0.0000 0.0000
4 Re 0.5000 0.5000 0.5000
5 B 0.0000 0.0000 0.0000

***

Version x
The following is a PBE-GGA calculation of a relaxed Al3ReB crystal, from Alexandria via LeMat-Bulk.

Cell: 4.7763 4.7763 4.7763 Å, 90.00 90.00 90.00°
Fractional coordinates of all 5 atoms:
1 Al 0.0000 0.0000 0.5000
2 Al 0.0000 0.5000 0.0000
~~~

2